## Given
~~~
No. 1
Simulated X-ray powder pattern of RbCu4Sb3 for λ = 1.5418 Å (Cu Kα), from DFT lattice parameters and positions (GGA-PBE).
Kinematic intensities with the Lorentz-polarization factor, no thermal factor.

Top 12 peaks for 2θ = 5–70°, by angle:
| Position (°2θ) | Rel. int. |
| --- | --- |
| 8.73 | 34 |
| 22.36 | 8 |
| 27.12 | 100 |
| 29.21 | 7 |
| 30.55 | 15 |
| 39.78 | 44 |
| 41.79 | 46 |
| 46.58 | 39 |
| 49.71 | 7 |
| 50.53 | 35 |
| 60.58 | 15 |
| 67.59 | 7 |

Structure:
Cell lengths 4.3231, 4.3231, 10.1264 Å; angles 90.00, 90.00, 90.00 degrees
Atoms (fractional coordinates):
Rb: 0.0000 0.0000 0.0000
Cu: 0.0000 0.5000 0.3496
Cu: 0.0000 0.5000 0.6504
Cu: 0.5000 0.0000 0.3496
Cu: 0.5000 0.0000 0.6504
Sb: 0.0000 0.0000 0.5000
Sb: 0.5000 0.5000 0.2095
Sb: 0.5000 0.5000 0.7905


No. 2
Simulated X-ray powder pattern of P4H36WC12Cl2 for λ = 1.5418 Å (Cu Kα), from DFT lattice parameters and positions (GGA-PBE).
Kinematic intensities with the Lorentz-polarization factor, no thermal factor.

Top 12 peaks for 2θ = 5–70°, by angle:
| Position (°2θ) | Rel. int. |
| --- | --- |
| 11.84 | 100 |
| 13.17 | 31 |
| 14.64 | 18 |
| 19.74 | 10 |
| 22.16 | 20 |
| 23.96 | 8 |
| 26.52 | 15 |
| 29.72 | 12 |
| 32.45 | 10 |
| 34.83 | 18 |
| 43.01 | 11 |
| 51.25 | 9 |

Structure:
Cell lengths 9.0447, 9.0447, 9.0447 Å; angles 116.60, 116.60, 96.00 degrees
Atoms (fractional coordinates):
P: 0.1482 0.7852 0.0000
P: 0.2148 0.2148 0.3629
P: 0.7852 0.1482 0.0000
P: 0.8518 0.8518 0.6371
H: 0.0230 0.6759 0.5532
H: 0.0530 0.1846 0.5084
H: 0.0798 0.4614 0.8188
H: 0.1003 0.7285 0.2147
H: 0.1144 0.8997 0.6282
H: 0.1227 0.4698 0.4468
H: 0.1846 0.0530 0.5084
H: 0.2610 0.6426 0.1812
H: 0.2715 0.4862 0.3718
H: 0.2891 0.2891 0.6922
H: 0.3238 0.8154 0.8684
H: 0.3241 0.8773 0.3470
H: 0.3574 0.5386 0.6184
H: 0.4030 0.7109 0.0000
H: 0.4555 0.9470 0.1316
H: 0.4614 0.0798 0.8188
H: 0.4698 0.1227 0.4468
H: 0.4862 0.2715 0.3718
H: 0.5138 0.8856 0.7853
H: 0.5302 0.9770 0.6530
H: 0.5386 0.3574 0.6184
H: 0.5445 0.6762 0.4916
H: 0.5970 0.5970 0.3078
H: 0.6426 0.2610 0.1812
H: 0.6759 0.0230 0.5532
H: 0.6762 0.5445 0.4916
H: 0.7109 0.4030 0.0000
H: 0.7285 0.1003 0.2147
H: 0.7390 0.9202 0.3816
H: 0.8154 0.3238 0.8684
H: 0.8773 0.3241 0.3470
H: 0.8856 0.5138 0.7853
H: 0.8997 0.1144 0.6282
H: 0.9202 0.7390 0.3816
H: 0.9470 0.4555 0.1316
H: 0.9770 0.5302 0.6530
W: 0.0000 0.0000 0.0000
C: 0.0105 0.5492 0.7942
C: 0.1839 0.1839 0.5359
C: 0.2163 0.7550 0.2058
C: 0.2450 0.4508 0.4613
C: 0.3520 0.8161 0.0000
C: 0.4508 0.2450 0.4613
C: 0.5492 0.0105 0.7942
C: 0.6480 0.6480 0.4641
C: 0.7550 0.2163 0.2058
C: 0.7837 0.9895 0.5387
C: 0.8161 0.3520 0.0000
C: 0.9895 0.7837 0.5387
Cl: 0.2035 0.2035 0.0000
Cl: 0.7965 0.7965 0.0000

* * * * *

1.
Starting from the GGA-PBE geometry in Alexandria, the X-ray diffraction stick pattern of Sr2CaCu2Bi2IO8 was calculated for Cu Kα, 1.54184 Å.

Principal peaks in the range 10 to 80 degrees two-theta, low angle first:
| 2theta | intensity |
| --- | --- |
| 27.4 | 100.0 |
| 27.9 | 17.7 |
| 30.1 | 26.6 |
| 32.5 | 31.0 |
| 33.3 | 23.2 |
| 34.5 | 29.8 |
| 48.1 | 27.0 |
| 49.1 | 21.5 |

Structure:
Cell: 5.1992 19.1745 5.5100 Å, 90.00 90.00 90.00°
Space group Pmna (No. 53)
Symmetry-distinct sites (fractional):
Sr  0.0000  0.1816  0.0069 [4 per cell]
Ca  0.0000  0.0000  0.0000 [2 per cell]
Cu  0.0000  0.0835  0.5005 [4 per cell]
Bi  0.0000  0.3297  0.5310 [4 per cell]
I  0.0000  0.5000  0.0000 [2 per cell]
O  0.0000  0.2226  0.4670 [4 per cell]
O  0.0000  0.3148  0.9144 [4 per cell]
O  0.2500  0.0814  0.2500 [4 per cell]
O  0.2500  0.0855  0.7500 [4 per cell]

=====

2.
Starting from the GGA-PBE geometry in Alexandria, the X-ray diffraction stick pattern of Sr2CaCu2Bi2O8 was calculated for Cu Kα, 1.54184 Å.

Principal peaks in the range 10 to 80 degrees two-theta, low angle first:
| 2theta | intensity |
| --- | --- |
| 22.2 | 26.2 |
| 24.5 | 30.4 |
| 27.0 | 100.0 |
| 30.3 | 32.2 |
| 32.6 | 32.6 |
| 33.1 | 35.5 |
| 47.1 | 30.0 |
| 48.7 | 20.0 |

Structure:
~~~
## Exercise
Please filter the entries further up: keep the lines with the word "Sb".
## Outcome
Sb: 0.0000 0.0000 0.5000
Sb: 0.5000 0.5000 0.2095
Sb: 0.5000 0.5000 0.7905